Job.
What is needed: repeat everything below exactly.
Listing.
Molecular formula: C7H15Cl
Method: DFT, ωB97M-V/def2-TZVPD

Cartesian coordinates (Å):
1 C 0.683 1.420 -1.341
2 C 1.189 1.093 1.277
3 C 2.149 -0.379 -0.350
4 C -2.486 -0.133 -0.541
5 C -1.244 -1.480 1.209
6 C 1.372 0.828 -0.138
7 C -1.204 -0.872 -0.137
8 Cl -0.636 -1.841 -1.516
9 H 0.966 2.448 -1.408
10 H 0.965 0.893 -2.199
11 H -0.389 1.638 -1.256
12 H 1.172 0.165 1.849
13 H 2.083 1.639 1.602
14 H 0.329 1.744 1.609
15 H 2.487 -0.884 0.582
16 H 1.472 -1.022 -0.888
17 H 3.083 -0.386 -0.855
18 H -2.813 0.574 0.115
19 H -2.058 0.310 -1.444
20 H -3.348 -0.765 -0.792
21 H -1.868 -0.888 1.837
22 H -0.250 -1.628 1.693
23 H -1.653 -2.473 1.090

The value obtained for the HOMO energy (spin up / spin down) is -6.56 / -8.00 eV. As for the HOMO-LUMO gap (spin up / spin down): 6.7 / 8.8 eV. The spin multiplicity is 1.

---

Molecular formula: C24H28N8O4
Method: DFT, ωB97M-V/def2-TZVPD

Cartesian coordinates (Å):
1 C 4.662 4.583 3.701
2 C 4.444 5.971 3.145
3 N 4.352 7.022 2.676
4 H 3.782 4.128 4.157
5 H 5.223 4.762 4.619
6 H 5.294 3.859 3.187
7 C 0.509 2.497 0.399
8 C -0.336 2.703 -0.745
9 N -1.095 2.755 -1.665
10 H 1.004 3.457 0.547
11 H 1.211 1.675 0.265
12 H 0.027 2.341 1.364
13 C 4.318 -3.141 0.903
14 C 4.204 -2.301 -0.294
15 N 4.052 -1.549 -1.171
16 H 4.937 -3.993 0.623
17 H 3.354 -3.565 1.184
18 H 4.863 -2.637 1.702
19 C -5.891 0.427 -4.319
20 C -5.677 -0.079 -2.959
21 N -5.547 -0.403 -1.802
22 H -6.201 -0.454 -4.881
23 H -4.946 0.764 -4.744
24 H -6.759 1.084 -4.371
25 C -2.384 5.662 8.404
26 C -1.904 5.243 7.061
27 N -1.551 4.942 5.966
28 H -1.995 5.101 9.253
29 H -3.452 5.832 8.541
30 H -1.881 6.629 8.387
31 C -2.120 5.788 -6.546
32 C -2.976 4.678 -7.113
33 N -3.624 3.891 -7.657
34 H -2.283 5.847 -5.470
35 H -2.380 6.757 -6.973
36 H -1.046 5.682 -6.705
37 C 0.214 -1.679 5.736
38 C 1.150 -2.547 6.332
39 C 1.240 -3.870 5.819
40 C 0.431 -4.277 4.803
41 C -0.561 -3.383 4.276
42 C -0.588 -2.053 4.670
43 N 0.531 -5.648 4.207
44 O -0.387 -6.179 3.505
45 O 1.568 -6.257 4.521
46 H 0.253 -0.649 6.057
47 H 1.594 -2.115 7.217
48 H 2.156 -4.370 6.099
49 H -1.255 -3.597 3.477
50 H -1.159 -1.382 4.045
51 C 0.181 -3.215 -7.589
52 C 0.957 -4.218 -6.969
53 C 0.930 -4.314 -5.584
54 C 0.178 -3.538 -4.770
55 C -0.600 -2.462 -5.432
56 C -0.560 -2.322 -6.809
57 N 0.160 -3.730 -3.297
58 O 0.796 -4.683 -2.867
59 O -0.602 -3.126 -2.577
60 H 0.155 -3.207 -8.669
61 H 1.677 -4.845 -7.473
62 H 1.641 -5.042 -5.223
63 H -1.122 -1.687 -4.891
64 H -1.167 -1.566 -7.284

As for the SMILES: O=[N+]([O-])c1ccccc1.O=[N+]([O-])c1ccccc1.CC#N.CC#N.CC#N.CC#N.CC#N.CC#N. The value obtained for the HOMO energy is -9.81 eV. As for the HOMO-LUMO gap: 9.1 eV. The spin multiplicity is 1.

---

Molecular formula: C20H24N2O2
Method: DFT, ωB97M-V/def2-TZVPD

Cartesian coordinates (Å):
1 C -1.355 2.912 2.084
2 C -0.993 1.964 1.437
3 C -0.550 0.824 0.725
4 C -1.469 -0.134 0.293
5 C -1.040 -1.243 -0.404
6 C 0.317 -1.415 -0.685
7 C 1.236 -0.456 -0.254
8 C 0.807 0.652 0.444
9 H 1.516 1.395 0.779
10 H 2.286 -0.590 -0.472
11 C 0.759 -2.555 -1.395
12 C 1.153 -3.529 -1.985
13 C 1.643 -4.714 -2.677
14 N 2.637 -5.521 -1.994
15 C 3.931 -4.904 -1.775
16 C 3.989 -4.064 -0.492
17 H 5.011 -3.735 -0.294
18 O 3.600 -4.827 0.632
19 C 2.293 -5.337 0.467
20 C 2.196 -6.207 -0.793
21 H 1.170 -6.554 -0.929
22 H 2.849 -7.078 -0.666
23 H 2.087 -5.930 1.360
24 H 1.573 -4.507 0.408
25 H 3.335 -3.185 -0.589
26 H 4.189 -4.287 -2.638
27 H 4.662 -5.716 -1.692
28 H 2.083 -4.401 -3.632
29 H 0.790 -5.368 -2.898
30 H -1.749 -1.987 -0.739
31 H -2.519 0.001 0.511
32 C -1.843 4.118 2.737
33 N -2.450 5.081 1.828
34 C -1.516 5.602 0.845
35 C -2.211 6.711 0.054
36 H -1.559 7.091 -0.734
37 O -3.372 6.236 -0.587
38 C -4.270 5.699 0.356
39 C -3.629 4.565 1.155
40 H -4.335 4.201 1.905
41 H -3.377 3.736 0.471
42 H -5.129 5.337 -0.210
43 H -4.595 6.489 1.051
44 H -2.475 7.530 0.740
45 H -0.647 6.013 1.363
46 H -1.177 4.817 0.148
47 H -2.596 3.846 3.485
48 H -1.013 4.618 3.247
Done.
Molecular formula: C7H15Cl
Method: DFT, ωB97M-V/def2-TZVPD

Cartesian coordinates (Å):
1 C 0.683 1.420 -1.341
2 C 1.189 1.093 1.277
3 C 2.149 -0.379 -0.350
4 C -2.486 -0.133 -0.541
5 C -1.244 -1.480 1.209
6 C 1.372 0.828 -0.138
7 C -1.204 -0.872 -0.137
8 Cl -0.636 -1.841 -1.516
9 H 0.966 2.448 -1.408
10 H 0.965 0.893 -2.199
11 H -0.389 1.638 -1.256
12 H 1.172 0.165 1.849
13 H 2.083 1.639 1.602
14 H 0.329 1.744 1.609
15 H 2.487 -0.884 0.582
16 H 1.472 -1.022 -0.888
17 H 3.083 -0.386 -0.855
18 H -2.813 0.574 0.115
19 H -2.058 0.310 -1.444
20 H -3.348 -0.765 -0.792
21 H -1.868 -0.888 1.837
22 H -0.250 -1.628 1.693
23 H -1.653 -2.473 1.090

The value obtained for the HOMO energy (spin up / spin down) is -6.56 / -8.00 eV. As for the HOMO-LUMO gap (spin up / spin down): 6.7 / 8.8 eV. The spin multiplicity is 1.

---

Molecular formula: C24H28N8O4
Method: DFT, ωB97M-V/def2-TZVPD

Cartesian coordinates (Å):
1 C 4.662 4.583 3.701
2 C 4.444 5.971 3.145
3 N 4.352 7.022 2.676
4 H 3.782 4.128 4.157
5 H 5.223 4.762 4.619
6 H 5.294 3.859 3.187
7 C 0.509 2.497 0.399
8 C -0.336 2.703 -0.745
9 N -1.095 2.755 -1.665
10 H 1.004 3.457 0.547
11 H 1.211 1.675 0.265
12 H 0.027 2.341 1.364
13 C 4.318 -3.141 0.903
14 C 4.204 -2.301 -0.294
15 N 4.052 -1.549 -1.171
16 H 4.937 -3.993 0.623
17 H 3.354 -3.565 1.184
18 H 4.863 -2.637 1.702
19 C -5.891 0.427 -4.319
20 C -5.677 -0.079 -2.959
21 N -5.547 -0.403 -1.802
22 H -6.201 -0.454 -4.881
23 H -4.946 0.764 -4.744
24 H -6.759 1.084 -4.371
25 C -2.384 5.662 8.404
26 C -1.904 5.243 7.061
27 N -1.551 4.942 5.966
28 H -1.995 5.101 9.253
29 H -3.452 5.832 8.541
30 H -1.881 6.629 8.387
31 C -2.120 5.788 -6.546
32 C -2.976 4.678 -7.113
33 N -3.624 3.891 -7.657
34 H -2.283 5.847 -5.470
35 H -2.380 6.757 -6.973
36 H -1.046 5.682 -6.705
37 C 0.214 -1.679 5.736
38 C 1.150 -2.547 6.332
39 C 1.240 -3.870 5.819
40 C 0.431 -4.277 4.803
41 C -0.561 -3.383 4.276
42 C -0.588 -2.053 4.670
43 N 0.531 -5.648 4.207
44 O -0.387 -6.179 3.505
45 O 1.568 -6.257 4.521
46 H 0.253 -0.649 6.057
47 H 1.594 -2.115 7.217
48 H 2.156 -4.370 6.099
49 H -1.255 -3.597 3.477
50 H -1.159 -1.382 4.045
51 C 0.181 -3.215 -7.589
52 C 0.957 -4.218 -6.969
53 C 0.930 -4.314 -5.584
54 C 0.178 -3.538 -4.770
55 C -0.600 -2.462 -5.432
56 C -0.560 -2.322 -6.809
57 N 0.160 -3.730 -3.297
58 O 0.796 -4.683 -2.867
59 O -0.602 -3.126 -2.577
60 H 0.155 -3.207 -8.669
61 H 1.677 -4.845 -7.473
62 H 1.641 -5.042 -5.223
63 H -1.122 -1.687 -4.891
64 H -1.167 -1.566 -7.284

As for the SMILES: O=[N+]([O-])c1ccccc1.O=[N+]([O-])c1ccccc1.CC#N.CC#N.CC#N.CC#N.CC#N.CC#N. The value obtained for the HOMO energy is -9.81 eV. As for the HOMO-LUMO gap: 9.1 eV. The spin multiplicity is 1.

---

Molecular formula: C20H24N2O2
Method: DFT, ωB97M-V/def2-TZVPD

Cartesian coordinates (Å):
1 C -1.355 2.912 2.084
2 C -0.993 1.964 1.437
3 C -0.550 0.824 0.725
4 C -1.469 -0.134 0.293
5 C -1.040 -1.243 -0.404
6 C 0.317 -1.415 -0.685
7 C 1.236 -0.456 -0.254
8 C 0.807 0.652 0.444
9 H 1.516 1.395 0.779
10 H 2.286 -0.590 -0.472
11 C 0.759 -2.555 -1.395
12 C 1.153 -3.529 -1.985
13 C 1.643 -4.714 -2.677
14 N 2.637 -5.521 -1.994
15 C 3.931 -4.904 -1.775
16 C 3.989 -4.064 -0.492
17 H 5.011 -3.735 -0.294
18 O 3.600 -4.827 0.632
19 C 2.293 -5.337 0.467
20 C 2.196 -6.207 -0.793
21 H 1.170 -6.554 -0.929
22 H 2.849 -7.078 -0.666
23 H 2.087 -5.930 1.360
24 H 1.573 -4.507 0.408
25 H 3.335 -3.185 -0.589
26 H 4.189 -4.287 -2.638
27 H 4.662 -5.716 -1.692
28 H 2.083 -4.401 -3.632
29 H 0.790 -5.368 -2.898
30 H -1.749 -1.987 -0.739
31 H -2.519 0.001 0.511
32 C -1.843 4.118 2.737
33 N -2.450 5.081 1.828
34 C -1.516 5.602 0.845
35 C -2.211 6.711 0.054
36 H -1.559 7.091 -0.734
37 O -3.372 6.236 -0.587
38 C -4.270 5.699 0.356
39 C -3.629 4.565 1.155
40 H -4.335 4.201 1.905
41 H -3.377 3.736 0.471
42 H -5.129 5.337 -0.210
43 H -4.595 6.489 1.051
44 H -2.475 7.530 0.740
45 H -0.647 6.013 1.363
46 H -1.177 4.817 0.148
47 H -2.596 3.846 3.485
48 H -1.013 4.618 3.247